== Work order ==
Duplicate all of the rows underneath unchanged, please.

== File ==
Entry 1:
The following is a theoretical powder diffraction line list of Tl2NiS2. It was derived from a PBE-relaxed structure, using Cu Ka.

Main lines, sorted by position (2θ = 15–90°):
Position (°2θ)	I_rel
15.15	65
25.66	24
29.93	100
30.57	17
36.60	39
39.82	25
40.33	34
48.41	20
53.94	20
61.83	26

Atomic structure:
Cell: 4.910 4.910 11.696 Å, 90.00 90.00 90.00°
Space group I4/mmm (No. 139)
Asymmetric unit:
1 Tl 0.000 0.500 0.250 (multiplicity 4)
2 Ni 0.000 0.000 0.000 (multiplicity 2)
3 S 0.000 0.000 0.372 (multiplicity 4)

---

Entry 2:
The following is a theoretical powder diffraction line list of ZnNi4S8. It was derived from a PBE-relaxed structure, using Cu Ka.

Main lines, sorted by position (2θ = 15–90°):
Position (°2θ)	I_rel
15.95	73
18.44	9
30.81	22
37.37	100
49.20	17
53.89	61
56.56	13
67.41	19
69.79	8
79.70	8

Atomic structure:
Cell: 6.8075 6.8075 16.6619 Å, 90.00 90.00 120.00°
Space group R-3m (No. 166, hexagonal axes)
Asymmetric unit:
1 Zn 0.0000 0.0000 0.0000 (multiplicity 3)
2 Ni 0.0000 0.0000 0.5000 (multiplicity 3)
3 Ni 0.0000 0.5000 0.0000 (multiplicity 9)
4 S 0.0000 0.0000 0.2626 (multiplicity 6)
5 S 0.0306 0.5153 0.2573 (multiplicity 18)

---

Entry 3:
The following is a theoretical powder diffraction line list of ZnNi2S5. It was derived from a PBE-relaxed structure, using Cu Ka.

Main lines, sorted by position (2θ = 15–90°):
Position (°2θ)	I_rel
19.22	100
28.65	58
29.43	52
30.23	30
36.51	36
40.19	76
42.33	31
43.08	42
54.16	31
56.64	48

Atomic structure:
Cell: 3.567 13.330 6.404 Å, 90.00 90.00 90.00°
Space group Pmmn (No. 59, origin choice 2)
Asymmetric unit:
1 Zn 0.250 0.250 0.107 (multiplicity 2)
2 Ni 0.250 0.605 0.466 (multiplicity 4)
3 S 0.250 0.053 0.357 (multiplicity 4)
4 S 0.250 0.670 0.146 (multiplicity 4)
5 S 0.250 0.750 0.639 (multiplicity 2)

---

Entry 4:
The following is a theoretical powder diffraction line list of ZnNi4S8. It was derived from a PBE-relaxed structure, using Cu Ka.

Main lines, sorted by position (2θ = 15–90°):
Position (°2θ)	I_rel
15.30	66
16.06	16
31.15	14
37.18	100
48.19	15
52.58	29
54.60	32
57.07	11
67.92	15
89.32	9

Atomic structure:
Cell: 6.7229 6.7229 17.3692 Å, 90.00 90.00 120.00°
Space group R-3m (No. 166, hexagonal axes)
Asymmetric unit:
1 Zn 0.0000 0.0000 0.0000 (multiplicity 3)
2 Ni 0.0000 0.0000 0.5000 (multiplicity 3)
3 Ni 0.0000 0.5000 0.5000 (multiplicity 9)
4 S 0.0000 0.0000 0.2347 (multiplicity 6)
5 S 0.0085 0.5043 0.7635 (multiplicity 18)

---

Entry 5:
The following is a theoretical powder diffraction line list of NiSb3. It was derived from a PBE-relaxed structure, using Cu Ka.

Main lines, sorted by position (2θ = 15–90°):
Position (°2θ)	I_rel
30.55	100
36.33	35
41.40	9
43.75	25
46.01	11
48.18	17
50.28	23
58.13	18
68.82	18
89.98	12

Atomic structure:
Cell: 9.252 9.252 9.252 Å, 90.00 90.00 90.00°
Space group Im-3 (No. 204)
Asymmetric unit:
1 Ni 0.250 0.250 0.250 (multiplicity 8)
2 Sb 0.000 0.160 0.338 (multiplicity 24)

---

Entry 6:
The following is a theoretical powder diffraction line list of Ni3Sb. It was derived from a PBE-relaxed structure, using Cu Ka.

Main lines, sorted by position (2θ = 15–90°):
Position (°2θ)	I_rel
23.88	10
34.03	8
42.00	100
48.89	47
55.12	4
60.90	3
71.64	28
76.74	2
81.73	2
86.67	34

Atomic structure:
Cell: 3.726 3.726 3.726 Å, 90.00 90.00 90.00°
Space group Pm-3m (No. 221)
Asymmetric unit:
1 Ni 0.000 0.000 0.500 (multiplicity 3)
2 Sb 0.500 0.500 0.500 (multiplicity 1)

---

Entry 7:
The following is a theoretical powder diffraction line list of Ni3Sb. It was derived from a PBE-relaxed structure, using Cu Ka.

Main lines, sorted by position (2θ = 15–90°):
Position (°2θ)	I_rel
39.24	19
39.78	16
42.46	37
44.85	100
45.34	40
59.18	11
71.85	14
79.37	17
87.17	17
88.13	12

Atomic structure:
Cell: 4.258 5.326 4.532 Å, 90.00 90.00 90.00°
Space group Pmmn (No. 59, origin choice 2)
Asymmetric unit:
1 Ni 0.250 0.000 0.170 (multiplicity 4)
2 Ni 0.250 0.250 0.680 (multiplicity 2)
3 Sb 0.250 0.750 0.678 (multiplicity 2)

---

Entry 8:

== Completed ==
Entry 1:
The following is a theoretical powder diffraction line list of Tl2NiS2. It was derived from a PBE-relaxed structure, using Cu Ka.

Main lines, sorted by position (2θ = 15–90°):
Position (°2θ)	I_rel
15.15	65
25.66	24
29.93	100
30.57	17
36.60	39
39.82	25
40.33	34
48.41	20
53.94	20
61.83	26

Atomic structure:
Cell: 4.910 4.910 11.696 Å, 90.00 90.00 90.00°
Space group I4/mmm (No. 139)
Asymmetric unit:
1 Tl 0.000 0.500 0.250 (multiplicity 4)
2 Ni 0.000 0.000 0.000 (multiplicity 2)
3 S 0.000 0.000 0.372 (multiplicity 4)

---

Entry 2:
The following is a theoretical powder diffraction line list of ZnNi4S8. It was derived from a PBE-relaxed structure, using Cu Ka.

Main lines, sorted by position (2θ = 15–90°):
Position (°2θ)	I_rel
15.95	73
18.44	9
30.81	22
37.37	100
49.20	17
53.89	61
56.56	13
67.41	19
69.79	8
79.70	8

Atomic structure:
Cell: 6.8075 6.8075 16.6619 Å, 90.00 90.00 120.00°
Space group R-3m (No. 166, hexagonal axes)
Asymmetric unit:
1 Zn 0.0000 0.0000 0.0000 (multiplicity 3)
2 Ni 0.0000 0.0000 0.5000 (multiplicity 3)
3 Ni 0.0000 0.5000 0.0000 (multiplicity 9)
4 S 0.0000 0.0000 0.2626 (multiplicity 6)
5 S 0.0306 0.5153 0.2573 (multiplicity 18)

---

Entry 3:
The following is a theoretical powder diffraction line list of ZnNi2S5. It was derived from a PBE-relaxed structure, using Cu Ka.

Main lines, sorted by position (2θ = 15–90°):
Position (°2θ)	I_rel
19.22	100
28.65	58
29.43	52
30.23	30
36.51	36
40.19	76
42.33	31
43.08	42
54.16	31
56.64	48

Atomic structure:
Cell: 3.567 13.330 6.404 Å, 90.00 90.00 90.00°
Space group Pmmn (No. 59, origin choice 2)
Asymmetric unit:
1 Zn 0.250 0.250 0.107 (multiplicity 2)
2 Ni 0.250 0.605 0.466 (multiplicity 4)
3 S 0.250 0.053 0.357 (multiplicity 4)
4 S 0.250 0.670 0.146 (multiplicity 4)
5 S 0.250 0.750 0.639 (multiplicity 2)

---

Entry 4:
The following is a theoretical powder diffraction line list of ZnNi4S8. It was derived from a PBE-relaxed structure, using Cu Ka.

Main lines, sorted by position (2θ = 15–90°):
Position (°2θ)	I_rel
15.30	66
16.06	16
31.15	14
37.18	100
48.19	15
52.58	29
54.60	32
57.07	11
67.92	15
89.32	9

Atomic structure:
Cell: 6.7229 6.7229 17.3692 Å, 90.00 90.00 120.00°
Space group R-3m (No. 166, hexagonal axes)
Asymmetric unit:
1 Zn 0.0000 0.0000 0.0000 (multiplicity 3)
2 Ni 0.0000 0.0000 0.5000 (multiplicity 3)
3 Ni 0.0000 0.5000 0.5000 (multiplicity 9)
4 S 0.0000 0.0000 0.2347 (multiplicity 6)
5 S 0.0085 0.5043 0.7635 (multiplicity 18)

---

Entry 5:
The following is a theoretical powder diffraction line list of NiSb3. It was derived from a PBE-relaxed structure, using Cu Ka.

Main lines, sorted by position (2θ = 15–90°):
Position (°2θ)	I_rel
30.55	100
36.33	35
41.40	9
43.75	25
46.01	11
48.18	17
50.28	23
58.13	18
68.82	18
89.98	12

Atomic structure:
Cell: 9.252 9.252 9.252 Å, 90.00 90.00 90.00°
Space group Im-3 (No. 204)
Asymmetric unit:
1 Ni 0.250 0.250 0.250 (multiplicity 8)
2 Sb 0.000 0.160 0.338 (multiplicity 24)

---

Entry 6:
The following is a theoretical powder diffraction line list of Ni3Sb. It was derived from a PBE-relaxed structure, using Cu Ka.

Main lines, sorted by position (2θ = 15–90°):
Position (°2θ)	I_rel
23.88	10
34.03	8
42.00	100
48.89	47
55.12	4
60.90	3
71.64	28
76.74	2
81.73	2
86.67	34

Atomic structure:
Cell: 3.726 3.726 3.726 Å, 90.00 90.00 90.00°
Space group Pm-3m (No. 221)
Asymmetric unit:
1 Ni 0.000 0.000 0.500 (multiplicity 3)
2 Sb 0.500 0.500 0.500 (multiplicity 1)

---

Entry 7:
The following is a theoretical powder diffraction line list of Ni3Sb. It was derived from a PBE-relaxed structure, using Cu Ka.

Main lines, sorted by position (2θ = 15–90°):
Position (°2θ)	I_rel
39.24	19
39.78	16
42.46	37
44.85	100
45.34	40
59.18	11
71.85	14
79.37	17
87.17	17
88.13	12

Atomic structure:
Cell: 4.258 5.326 4.532 Å, 90.00 90.00 90.00°
Space group Pmmn (No. 59, origin choice 2)
Asymmetric unit:
1 Ni 0.250 0.000 0.170 (multiplicity 4)
2 Ni 0.250 0.250 0.680 (multiplicity 2)
3 Sb 0.250 0.750 0.678 (multiplicity 2)

---

Entry 8: